Away With Amalgam
One of the most common dental procedures is having a cavity filled. Chances are, you’ve even had a few filled in your lifetime. Cavities are a serious problem caused by harmful bacteria in our mouths that weakens enamel and causes tooth tissue to decay. They can be extremely painful and result in tooth loss. For more than a century dentists have been filling cavities with silver amalgam, but there is a better option in town. Composite resin is a tooth-colored alternative material that is much better suited to halt the progression of tooth decay. It’s one of the reasons why many dentists are doing away with amalgam.
What is Amalgam?
Dental amalgam is one of the oldest restorative materials in dentistry. It has been used in dental practices around the globe for 165 years to fill cavities in patients. It was first recorded in medical history in 659 AD by a Chinese practitioner, Su Kung. In 1578 a German physician recorded the recipe (100 parts mercury, 45 parts silver, 900 parts tin) and its usage as a dental filling. In 1826, the French where mixing silver coins with mercury and described their dental filling as a, “silver paste.” When the concoction made it to the United States, two brothers who had no dentistry background at all were performing cavity fillings with their, “Royal Mineral Succedaneum.” This unregulated, uneducated practice caused the American Society of Dental Surgeons to consider the use of amalgam malpractice in 1845. However, in 1877 J. Foster Flagg published his five-year clinical observations of the alloy and changed attitudes towards the filling material. It wasn’t until 1895 when G. V. Black investigated the use of amalgam constituted of 68.5 percent silver, 25.5 percent tin, 5 percent gold, and 1 percent zinc, integrated with cavity treatment and design that the use of amalgam was accepted by the dental community.
Today amalgam fillings are made with a combination of silver, mercury, tin, copper, and small amounts of zinc, indium, or palladium. This alloy is suitable to fill cavities because it is pliable and can be effectively used to fill the space left after decayed material is removed from a cavity site. It is also effective because it is durable and can withstand the rigors of chewing. Additionally it has been an economical choice for patients and dentists alike for many years.
Why is Amalgam Controversial?
Amalgam has been controversial for some time. The use of mercury is at the center of the debate. We come into contact with mercury in small amounts every single day. However, in large amounts mercury can build up in the organs and become toxic. Toxic amounts of mercury can cause, irritability, memory loss, anxiety, fatigue, and headaches. Patients are worried that the amount of mercury is released into the body from amalgam fillings can cause them harm. While people who are allergic to mercury may have an adverse reaction to this alloy, no studies have significantly found that amalgam as used in dental restorations to cause any serious diseases or conditions
Why We Choose Composite Resin
While silver fillings have served the dental profession for over a century, times have changed. New technologies are much better suited to fill cavities without any adverse effects. At Artistic Touch Dentistry we prefer to use tooth-colored restorations, or composite resin, to fill cavities and relieve pain associated with decay for several reasons.
(What comes next are records of crystals, not part of the piece)
┌──
i) 7
Lattice="-2.2508 3.0558 -4.0061 -2.4537 -4.8109 1.1350 -0.3802 3.0187 4.6040" Properties=species:S:1:pos:R:3 comment="AlZn2Ga4 (PBE-GGA, optimized geometry)" density_g_cm3=5.7 n_ef_per_ev_atom=0.362 space_group="I4/mmm, No. 139" pbc="T T T"
Al -2.3522 -0.8775 -1.4356
Zn -2.5930 -1.3349 2.1517
Zn -2.4916 2.5985 -0.4189
Ga -1.1349 0.8894 1.3159
Ga -2.2930 1.4222 -2.9384
Ga -2.7917 -0.1586 4.6712
Ga -3.9498 0.3742 0.4169

---

ii) 7
Lattice="-0.7583 -1.2509 -2.4353 -0.6841 -2.7571 -0.0278 -17.5355 2.8637 2.3321" Properties=species:S:1:pos:R:3 comment="AlZn2Ga4 (PBE-GGA, optimized geometry)" density_g_cm3=5.8 n_ef_per_ev_atom=0.364 space_group="R-3m, No. 166" pbc="T T T"
Zn -5.2927 -0.1511 0.0686
Zn -13.6851 -0.9933 -0.1996
Al 0.0000 0.0000 0.0000
Ga -16.2311 -0.3663 0.2711
Ga -2.7467 -0.7780 -0.4021
Ga -10.2697 1.0745 0.9888
Ga -8.7082 -2.2188 -1.1198

---

Relative energies in meV/atom: i) 70; ii) 0

---

i) 9
Lattice="-5.7661 -0.9527 -0.2244 -2.0363 -5.2766 -1.4887 -2.5559 -3.6325 4.8830" Properties=species:S:1:pos:R:3 comment="AlZn2Ga6 (PBE-GGA, optimized geometry)" density_g_cm3=5.7 n_ef_per_ev_atom=0.251 space_group="R3, No. 146" pbc="T T T"
Al -5.1614 -5.5458 3.7402
Zn -7.7579 -7.7735 3.6991
Zn -5.1818 -4.8383 1.2604
Ga -7.6285 -5.4535 2.4405
Ga -3.7114 -7.1048 1.9371
Ga -4.1752 -3.0136 3.1082
Ga -2.7521 -4.2594 0.1331
Ga -6.6255 -2.5931 0.6404
Ga -6.1969 -6.6554 -0.5222

---

ii) 18
Lattice="-0.1588 6.2673 1.1859 -6.3838 -0.0415 3.3876 3.3183 -0.3676 6.4097" Properties=species:S:1:pos:R:3 comment="AlZn2Ga6 (PBE-GGA, optimized geometry)" density_g_cm3=5.8 n_ef_per_ev_atom=0.382 space_group="C2/c, No. 15" pbc="T T T"
Al 1.7663 1.2501 6.2351
Al -4.9906 4.6081 4.7481
Zn -1.5810 0.5886 7.0573
Zn -0.4757 2.0994 3.6720
Zn -1.6433 5.2696 3.9260
Zn -2.7486 3.7588 7.3113
Ga -2.8662 2.8594 4.6949
Ga -3.0103 -0.0430 4.8445
Ga -0.3581 2.9988 6.2883
Ga -0.2140 5.9012 6.1387
Ga 1.0015 4.3290 4.1220
Ga -0.4078 4.5319 8.6682
Ga -4.2258 1.5292 6.8612
Ga -2.8165 1.3263 2.3150
Ga -1.9691 2.0954 9.3575
Ga 0.4183 0.5755 1.5293
Ga -1.2552 3.7628 1.6257
Ga -3.6426 5.2827 9.4539

---

Relative energies in meV/atom: i) 0; ii) 7

---

i) 5
Lattice="4.8743 0.0000 0.0000 0.0000 4.8743 0.0000 0.0000 0.0000 4.8743" Properties=species:S:1:pos:R:3 comment="AlZn3Ga (PBE-GGA, optimized geometry)" density_g_cm3=4.2 n_ef_per_ev_atom=0.555 space_group="Pm-3m, No. 221" pbc="T T T"
Zn 0.0000 2.4371 0.0000
Zn 0.0000 0.0000 2.4371
Zn 2.4371 0.0000 0.0000
Al 0.0000 0.0000 0.0000
Ga 2.4371 2.4371 2.4371

---

ii) 10
Lattice="-2.8638 0.0481 0.3455 1.5152 -2.3083 0.8360 2.5972 9.0449 20.2659" Properties=species:S:1:pos:R:3 comment="AlZn3Ga (PBE-GGA, optimized geometry)" density_g_cm3=6.0 n_ef_per_ev_atom=0.302 space_group="P6_3mc, No. 186" pbc="T T T"
Al 1.9416 5.0455 15.3894
Al -0.8167 1.3085 5.0929
Zn 0.8435 2.9376 6.5819
Zn 2.1421 7.4600 16.7149
Zn 0.3875 -0.3668 3.2627
Zn 0.2264 4.9411 13.2321
Zn 0.9903 7.6013 19.1924
Zn 1.1513 2.2933 9.2229
Ga 0.0632 0.2199 0.4928
└──
(Here the piece continues)
Silver fillings are durable and can withstand bite force, however metals are prone to expand and contract and actually weaken the tooth structure causing new cracks. Further, over time the edges of amalgam fillings can begin to break down, and even fall out of the cavity it intended to fill. This leaves the tooth susceptible to further decay.
Composite resin is bonded to teeth with amazing new technology. They fit better to natural teeth and are less prone to breaking or wearing down. When preparing a tooth for a composite resin filling Dr. Brazdo only has to remove the decayed portion of the tooth. With a silver filling, more tissue must be removed. Composite fillings are a much more conservative procedure.
Our final reason for preferring composite fillings to amalgam is because they are above and beyond more aesthetically pleasing. Tooth-colored fillings give the appearance of no filling at all and can help patients retain self confidence that would be taken away with a silver filling.
If you have any questions about why we love tooth-colored fillings or why we do away with amalgam fillings, give us a call today. And, if you have a cavity that needs to be filled, schedule an appointment with Dr. Brazdo today!